gcloud storage buckets create

Data records that have nothing to do with the page:
+++
1.
Computed powder diffraction line list
Compound: Dy2Zn5Cu3
Radiation: λ = 1.5418 Å (Cu Kα)
Structure: a GGA-PBE-relaxed structure

Atomic structure:
```
20
Lattice="2.1658 -11.8304 0.0000 2.1658 11.8304 0.0000 0.0000 0.0000 6.6661" Properties=species:S:1:pos:R:3 pbc="T T T"
Dy 2.1658 11.4163 3.3331
Dy 2.1658 4.1390 3.0024
Dy 2.1658 -4.1390 6.3355
Dy 2.1658 -11.4163 0.0000
Zn 2.1658 9.3229 1.1498
Zn 2.1658 7.0416 4.1481
Zn 2.1658 6.8065 1.5941
Zn 2.1658 2.9783 6.6192
Zn 2.1658 1.2339 2.0342
Zn 2.1658 -1.2339 5.3672
Zn 2.1658 -2.9783 3.2862
Zn 2.1658 -6.8065 4.9272
Zn 2.1658 -7.0416 0.8151
Zn 2.1658 -9.3229 4.4829
Cu 2.1658 9.3047 5.2081
Cu 2.1658 5.4711 6.1669
Cu 2.1658 1.2610 4.6909
Cu 2.1658 -1.2610 1.3579
Cu 2.1658 -5.4711 2.8339
Cu 2.1658 -9.3047 1.8750
```

Main lines, sorted by position (2θ = 10–80°):
2θ (°)	I (rel.)
35.26	23
35.85	100
36.31	73
40.12	31
40.45	24
41.70	46
43.50	20
55.72	15
59.50	16
70.30	18

2.
Computed powder diffraction line list
Compound: DyZn2Cu9
Radiation: λ = 1.5418 Å (Cu Kα)
Structure: a GGA-PBE-relaxed structure

Atomic structure:
```
24
Lattice="-5.0445 5.0445 3.2912 5.0445 -5.0445 3.2912 5.0445 5.0445 -3.2912" Properties=species:S:1:pos:R:3 pbc="T T T"
Dy 5.0445 2.5222 0.8228
Dy 0.0000 2.5222 2.4684
Zn 0.0000 0.0000 0.0000
Zn 2.5222 2.5222 -1.6456
Zn 2.5222 -2.5222 1.6456
Zn 0.0000 5.0445 0.0000
Cu 5.0445 -2.5222 2.4684
Cu 3.8113 -0.4295 1.1760
Cu 6.2776 -0.4295 1.1760
Cu 2.0928 1.2891 0.4695
Cu 7.9961 1.2891 0.4695
Cu 3.8113 4.6150 -1.1760
Cu 1.2331 -0.4295 2.1151
Cu 2.0928 3.7553 0.4695
Cu 2.9517 -1.2891 3.7607
Cu 2.0928 6.3336 -0.4695
Cu 2.9517 1.2891 2.8216
Cu 3.8113 5.4739 1.1760
Cu 1.2331 0.4295 4.4672
Cu -2.9517 3.7553 2.8216
Cu 2.9517 3.7553 2.8216
Cu -1.2331 5.4739 2.1151
Cu 1.2331 5.4739 2.1151
Cu 0.0000 7.5667 0.8228
```

Main lines, sorted by position (2θ = 10–80°):
2θ (°)	I (rel.)
29.88	20
34.84	40
39.33	100
39.96	69
42.15	32
45.30	14
47.11	41
48.95	28
60.43	18
72.16	27

3.
Computed powder diffraction line list
Compound: DyZn4Cu2
Radiation: λ = 1.5418 Å (Cu Kα)
Structure: a GGA-PBE-relaxed structure

Atomic structure:
```
7
Lattice="-2.5069 3.2882 3.3189 2.5069 -3.2882 3.3189 2.5069 3.2882 -3.3189" Properties=species:S:1:pos:R:3 pbc="T T T"
Dy 0.0000 0.0000 0.0000
Zn 2.5069 1.2765 -1.2797
Zn 2.5069 1.2765 1.2797
Zn 0.0000 2.0116 2.0392
Zn 0.0000 2.0116 4.5986
Cu 1.2498 3.2882 0.0000
Cu 1.2572 0.0000 3.3189
```

Main lines, sorted by position (2θ = 10–80°):
2θ (°)	I (rel.)
22.26	14
35.18	65
35.33	67
35.82	27
38.54	100
40.85	88
44.77	52
45.14	49
64.00	23
71.29	38

4.
Computed powder diffraction line list
Compound: Er5Cu6
Radiation: λ = 1.5418 Å (Cu Kα)
Structure: a GGA-PBE-relaxed structure

Atomic structure:
```
11
Lattice="7.4519 -3.5027 0.0000 7.4519 3.5027 0.0000 -1.4396 0.0000 4.5303" Properties=species:S:1:pos:R:3 pbc="T T T"
Er 0.0000 0.0000 0.0000
Er 1.6502 0.0000 3.0633
Er 4.8460 0.0000 1.5850
Er 8.6182 0.0000 2.9453
Er 11.8139 0.0000 1.4670
Cu 3.5781 1.9569 3.7028
Cu 6.7321 2.0735 2.2651
+++

gcloud storage buckets create - create buckets for storing objects
gcloud storage buckets create URL [URL …] [--additional-headers=HEADER=VALUE] [--default-encryption-key=DEFAULT_ENCRYPTION_KEY, -k DEFAULT_ENCRYPTION_KEY] [--default-storage-class=DEFAULT_STORAGE_CLASS, -c DEFAULT_STORAGE_CLASS, -s DEFAULT_STORAGE_CLASS] [--enable-hierarchical-namespace] [--enable-per-object-retention] [--location=LOCATION, -l LOCATION] [--[no-]pap, --[no-]public-access-prevention] [--placement=REGION,REGION] [--recovery-point-objective=SETTING, --rpo=SETTING] [--retention-period=RETENTION_PERIOD] [--soft-delete-duration=SOFT_DELETE_DURATION] [--[no-]uniform-bucket-level-access, -b] [--autoclass-terminal-storage-class=AUTOCLASS_TERMINAL_STORAGE_CLASS --[no-]enable-autoclass] [GCLOUD_WIDE_FLAG]
Create new buckets.
The following command creates 2 Cloud Storage buckets, one named my-bucket and a second bucket named my-other-bucket:
gcloud storage buckets create gs://my-bucket gs://my-other-bucket

The following command creates a bucket with the nearline default storage class in the asia location:

gcloud storage buckets create gs://my-bucket --default-storage-class=nearline --location=asia
The URLs of the buckets to create.
Includes arbitrary headers in storage API calls. Accepts a comma separated list of key=value pairs, e.g. header1=value1,header2=value2. Overrides the default storage/additional_headers property value for this command invocation.
Set the default KMS key using the full path to the key, which has the following form: projects/[project-id]/locations/[location]/keyRings/[key-ring]/cryptoKeys/[my-key].
Default storage class for the bucket. If not specified, the default storage class used by Cloud Storage is "Standard".
Enable hierarchical namespace for the bucket. To use this flag, you must also use --uniform-bucket-level-access
Enables each object in the bucket to have its own retention settings, which prevents deletion until stored for a specific length of time.
--location=LOCATION, -l LOCATION
Location for the bucket. If not specified, the location used by Cloud Storage is us. A bucket's location cannot be changed after creation.
--[no-]pap, --[no-]public-access-prevention
Sets public access prevention to "enforced". For details on how exactly public access is blocked, see: http://cloud.google.com/storage/docs/public-access-prevention. Use --public-access-prevention to enable and --no-public-access-prevention to disable.
A comma-separated list of exactly 2 regions that form the custom [dual-region] (https://cloud.google.com/storage/docs/locations#location-dr). Only regions within the same continent are or will ever be valid. Invalid location pairs (such as mixed-continent, or with unsupported regions) will return an error.
--recovery-point-objective=SETTING, --rpo=SETTING
Sets the recovery point objective of a bucket. This flag can only be used with multi-region and dual-region buckets. DEFAULT option is valid for multi-region and dual-regions buckets. ASYNC_TURBO option is only valid for dual-region buckets. If unspecified when the bucket is created, it defaults to DEFAULT for dual-region and multi-region buckets. For more information, see replication in Cloud Storage. SETTING must be one of: ASYNC_TURBO, DEFAULT.
Minimum retention period for objects stored in the bucket, for example --retention-period=1Y1M1D5S. Objects added to the bucket cannot be deleted until they've been stored for the specified length of time. Default is no retention period. Only available for Cloud Storage using the JSON API.
Duration to retain soft-deleted objects. For example, "2w1d" is two weeks and one day. The presence of this flag creates a bucket with a soft delete policy enabled, meaning deleted objects can be restored if requested within the inputted duration. See gcloud topic datetimes for more information on the duration format.
--[no-]uniform-bucket-level-access, -b
Turns on uniform bucket-level access setting. Default is False. Use --uniform-bucket-level-access to enable and --no-uniform-bucket-level-access to disable.
The storage class that objects in the bucket eventually transition to if they are not read for a certain length of time. Only valid if Autoclass is enabled.
The Autoclass feature automatically selects the best storage class for objects based on access patterns. Use --enable-autoclass to enable and --no-enable-autoclass to disable.
These flags are available to all commands: --access-token-file, --account, --billing-project, --configuration, --flags-file, --flatten, --format, --help, --impersonate-service-account, --log-http, --project, --quiet, --trace-token, --user-output-enabled, --verbosity.

Run $ gcloud help for details.

This variant is also available:
gcloud alpha storage buckets create